Thursday, November 20, 2008

(1)
The following is a DFT calculation (ωB97M-V/def2-TZVPD) of C5H10ClN2O8Rh as an isolated structure.

```
27
Properties=species:S:1:pos:R:3:forces:R:3:lowdin_charge:R:1
Rh -0.25335 -0.08654 0.03586 1.00 0.40 -0.08 1.2195
Cl -0.27512 -0.70963 2.83283 0.10 -0.35 -0.26 0.7108
O 0.65435 0.38490 2.73856 -0.09 0.12 -0.07 -0.3262
O 0.01607 -1.59716 3.88626 0.04 0.02 0.05 -0.2490
O -0.09655 -1.49200 1.52877 -0.44 -0.20 0.32 -0.4523
O -0.36091 1.56427 -1.03222 -0.25 -0.19 -0.01 -0.1758
O -1.71698 -3.20917 -1.80963 0.06 0.02 -0.04 0.1120
O -0.35289 -1.56242 -1.21336 0.02 0.26 0.21 -0.1235
O -1.62203 -0.22971 2.86281 -0.06 0.01 0.05 -0.3171
O 0.45955 3.57840 -1.41297 -0.03 -0.02 -0.03 0.0917
N 1.81506 -0.21752 -0.01595 -0.21 -0.01 -0.11 -0.0561
N -2.29398 -0.11400 -0.03269 -0.08 -0.09 0.12 -0.0476
C 2.51733 1.07857 -0.10961 -0.01 -0.05 -0.02 -0.2013
C -1.53289 -2.16654 -1.24536 -0.13 -0.03 -0.06 -0.5906
C -2.68312 -1.45215 -0.53885 -0.03 0.05 -0.06 -0.0960
C 0.64348 2.39622 -1.25810 0.00 0.03 -0.09 -0.6064
C 2.04797 1.81426 -1.35404 0.01 -0.02 -0.04 -0.0969
H 2.08613 1.12873 -2.20739 -0.01 0.03 -0.02 0.1286
H -2.60379 0.63490 -0.64575 0.08 0.03 -0.02 0.1172
H -2.66452 0.05214 0.89944 -0.04 -0.01 -0.02 0.0925
H 2.71201 2.64833 -1.56674 0.03 -0.01 0.02 0.1240
H 3.59480 0.91076 -0.15658 0.00 0.01 0.02 0.1234
H -3.00582 -2.07728 0.29105 0.05 0.00 0.03 0.1376
H 2.08879 -0.75199 0.80505 0.03 0.08 0.04 0.1057
H -3.50722 -1.38288 -1.24646 -0.02 -0.01 0.03 0.1336
H 2.30090 1.64281 0.79780 0.00 0.01 0.01 0.1248
H 2.03274 -0.78530 -0.83275 -0.02 -0.06 0.03 0.1174
```
Positions in Å, forces in eV/Å.

Calculated values
LUMO level = -0.0570 Ha
electronic energy = -1478.4811 a.u.
orbital gap = 8.59 eV
strongest force on any atom = 1.1 eV/A



(2)
The following is a DFT calculation (ωB97M-V/def2-TZVPD) of C28H31CsN7O as an isolated structure.

```
68
Properties=species:S:1:pos:R:3:forces:R:3:lowdin_charge:R:1
Cs -1.32460 0.38850 -0.05990 -0.85 1.33 2.77 1.3755
O -0.67046 -0.06065 -2.32940 0.52 -0.32 -2.14 -0.3995
N 4.86416 -0.94847 1.12610 0.03 0.04 -0.03 0.0601
N -1.26927 -2.22245 -1.74090 -0.61 -0.62 -0.46 0.0019
N 2.60310 0.43042 0.06748 -0.20 0.04 -0.03 -0.0355
N 0.49838 -1.92364 1.83281 -0.11 0.06 0.09 0.0841
N -2.20080 2.27567 2.00812 -0.01 0.37 0.35 -0.0344
N -0.60390 -2.16232 -0.58483 0.98 -0.43 -0.08 -0.1402
N -0.47859 3.40362 0.35023 0.02 -0.03 0.05 0.0430
C -0.15146 -3.25482 -0.06829 -0.34 -0.13 -0.48 -0.3003
C -2.29255 3.60199 1.89476 -0.28 -0.05 0.25 -0.2213
C -4.16020 3.64211 3.39431 -0.02 -0.05 0.03 -0.0477
C -3.25848 4.32406 2.59370 0.03 0.00 -0.04 -0.0026
C 0.42683 5.22492 -0.90264 -0.03 0.02 0.06 -0.0506
C 2.90459 -0.92456 -0.34168 0.09 0.06 -0.01 -0.1777
C 0.48864 -3.13241 1.24226 0.24 0.06 0.48 -0.2450
C -1.33053 4.23509 0.95430 0.20 0.22 -0.19 -0.2172
C -4.06809 2.26416 3.49699 0.03 0.04 -0.01 -0.0451
C -0.43766 6.09696 -0.26103 0.03 -0.02 -0.02 -0.0495
C -2.45098 -2.53837 -4.24332 0.00 0.09 0.09 -0.0314


Myspace is a pretty awesome thing on the Internet. I have a myspace and lots of friends on it. But mostly bands. That is where I find cool new bands and bands that are alike. There are some bad things on myspace that dont need to be on there like people threatening each other or starting a bad rumor but thats just people manipulating the situation. I keep in touch with alot of people. I also learned so much from myspace and their codes. I can make a layout and understand the html codes, because when I first got a myspace in 2005 I didnt get it and I finally just studied the codes and what not. This web design class has to do some of that and I feel like I understand a lot of it. Myspace could have maybe just helped me think of being a web designer in my furture.

CO2 Rock

This a rock that can react with CO2 and cause it to not have so much CO2 in the air. To much CO2 can be toxic and very dangerous for us. This could also could help with the greenhouse effect which means the roles of water vapor, carbon dioxide, and other trace gases in keeping the Earth's surface warmer and make it not be a huge concern if the rocks takes some of that in. Also all the pollution can decrease down keeping our world a little bit more cleaner.

Monday, November 17, 2008


The DesCom and Samsung Amoled Concept are the coolest laptops. I think that there will be a competition between the two but for sure someone will either have a laptop or just a phone or even both!

Thursday, November 13, 2008


I really dont like it when its winter time. I can never do anything and my mom doesnt like to take me anywhere. When I hear its snow it just reminds me that I have to be stuck at home with nothing to do. I hope things change and maybe my mom and I can get a better car for the winter and I wont be locked up in my house! I dont snowboard or nothing like that. I dont have the money or the love for it like other people.

Wednesday, November 12, 2008

Data records, as found in the file.
********
[1]
Here is a cluster of 12 separate species, C48H96O34 in total from the OMol25 dataset. Energies are from ωB97M-V/def2-TZVPD.

XYZ file:
```
178
Properties=species:S:1:pos:R:3:forces:R:3:lowdin_charge:R:1
C -8.2006 -0.0574 5.2956 0.5 0.7 1.1 -0.025
C -9.1784 0.4636 6.3601 -1.7 -1.2 -1.1 -0.205
O -8.6317 0.5150 7.6724 1.3 -0.2 -0.4 0.066
C -9.2430 1.0262 8.7077 0.3 0.6 2.8 -0.585
O -8.7209 1.0662 9.8280 -1.4 0.1 -2.4 0.096
O -10.4696 1.4854 8.3797 -0.6 0.6 -0.4 -0.033
C -11.3464 2.1710 9.3000 0.0 -0.5 0.7 -0.026
H -7.4011 0.6835 5.3042 0.2 -0.1 -0.6 0.063
H -8.6754 -0.1441 4.3183 -0.1 0.4 0.1 0.072
H -7.7364 -1.0240 5.4914 -0.3 0.0 0.5 0.081
H -10.0326 -0.2128 6.3901 -0.1 -0.2 0.2 0.113
H -9.6459 1.3976 6.0483 0.6 0.4 0.2 0.113
H -12.0101 2.9062 8.8450 0.7 0.1 -0.9 0.073
H -10.8150 2.6663 10.1127 0.2 -0.3 -0.1 0.099
H -12.0791 1.4607 9.6831 0.4 -0.3 0.3 0.085
C -21.3362 2.5616 2.2246 0.3 0.3 -0.7 -0.057
C -20.4024 2.0790 3.3084 -1.2 1.2 0.7 -0.235
O -19.1547 1.8617 2.7250 0.7 -0.6 -0.6 0.033
C -18.1355 1.6238 3.5318 1.1 -0.7 1.9 -0.521
O -18.0711 1.9021 4.7464 0.1 -0.9 -3.2 0.075
O -17.2218 0.9801 2.7603 -1.8 0.9 1.0 0.000
C -15.9967 0.5395 3.3021 1.2 0.4 -0.7 -0.023
H -22.2065 3.0909 2.6125 -0.1 -0.4 0.1 0.082
H -21.6105 1.7741 1.5227 -0.3 -0.2 0.3 0.081
H -20.8074 3.2746 1.5921 0.1 0.2 0.1 0.070
H -20.7974 1.1918 3.8034 0.3 -0.2 0.0 0.135
H -20.2664 2.8548 4.0619 -0.2 0.0 0.2 0.118
H -15.3513 0.7186 2.4422 0.6 -0.1 0.3 0.093
H -15.9711 -0.5330 3.4949 -0.4 0.2 0.4 0.095
H -15.6415 1.1626 4.1229 -0.2 -0.2 0.1 0.083
C -14.8806 -3.2609 -0.2660 -0.4 0.4 0.4 -0.044
C -15.1965 -2.0283 0.5735 1.3 0.0 -0.8 -0.219
O -15.3180 -2.4180 1.9454 -0.3 0.1 0.6 0.004
C -14.3365 -2.7662 2.8204 -1.4 -0.1 0.5 -0.599
O -14.6227 -3.1803 3.9191 0.2 0.2 -0.6 0.124
O -13.1398 -2.5678 2.3513 -0.4 0.6 -1.8 0.012
C -12.0056 -2.8167 3.1124 1.4 0.1 0.9 -0.039
H -15.7951 -3.8357 -0.1199 0.5 -0.8 -0.5 0.086
H -13.9650 -3.7362 0.0861 -0.3 -0.2 0.3 0.078
H -14.6873 -3.0295 -1.3135 -0.4 0.2 0.0 0.064
H -16.1505 -1.6021 0.2630 -0.2 -0.2 0.4 0.125
H -14.4542 -1.2609 0.3540 0.3 0.2 0.7 0.102
H -11.4748 -3.6737 2.6978 -0.1 -0.1 0.1 0.092
H -12.2224 -2.9452 4.1729 -0.2 -0.1 -0.1 0.098
H -11.3568 -1.9514 2.9764 0.0 -0.1 0.1 0.073
C -18.2188 5.5958 2.4295 -0.2 1.0 -1.4 -0.059
C -16.9238 4.8856 2.2027 1.3 0.3 1.3 -0.226
O -16.8766 4.2851 0.9109 -1.6 -0.5 -0.7 0.059
C -15.8573 3.5568 0.4859 1.6 -0.5 2.0 -0.589
O -14.7972 3.4552 1.0779 -0.5 0.2 -0.3 0.105
O -16.1561 2.8942 -0.6124 -1.2 1.2 0.0 0.027
C -15.2368 1.9839 -1.1419 0.7 -0.8 -0.8 -0.046
H -18.1447 6.4532 1.7605 -0.8 0.3 0.0 0.086
H -18.3628 5.9733 3.4418 0.4 -0.2 -0.1 0.064
H -19.0635 4.9663 2.1498 0.0 0.0 0.0 0.073
H -16.8651 4.2652 3.0969 0.7 -1.3 -0.6 0.110
H -16.0545 5.5419 2.2444 -0.2 0.2 0.3 0.129
H -15.4302 1.9748 -2.2146 -0.1 -0.2 0.1 0.089
H -15.4238 0.9922 -0.7300 0.0 0.0 0.0 0.090
H -14.1798 2.2209 -1.0210 -0.2 0.3 0.4 0.097
C -14.8448 -0.1679 -4.8295 0.2 0.5 -0.6 -0.055
C -14.6158 -1.2154 -3.7568 -0.9 -1.0 -2.1 -0.278
********

Jobs in the Computer World

Web writers-People who write Web Blogs supported by advertising. Depending your topic, the interest level, and your number of readers, you can make a lot of money writing on the Web.

Running your own Web site -You can get into Web design by building and maintaining your personal site to get your business or whatever you want on the web for people to see.

Web reviewers -You write reviews of books, art, movies, or whatever and post them to a Web site.

== Misplaced calculated molecules ==
No. 1
A 2-piece molecular cluster, C7H5N4O2 overall at a distorted geometry, computed with wB97M-V/def2-TZVPD.

Properties
Total energy ... -639.15192 a.u.
HOMO level (alpha / beta) ... -4.45 / -4.45 eV
Lowest unoccupied orbital energy (alpha / beta) ... 0.128 / 0.128 Eh

The geometry in ORCA input format:
```
! RIJCOSX wB97M-V def2-TZVPD def2/J DEFGRID3
* xyz -1 1
C -0.077 1.622 -1.646
C 0.552 1.360 1.343
C -1.662 -1.549 -0.425
C -1.405 -0.285 0.389
C 1.530 -0.824 0.772
C 0.891 0.691 -1.146
C 0.865 0.415 0.374
N -0.788 2.379 -2.122
N 0.327 1.903 2.345
N -1.961 0.202 1.570
N -2.255 0.850 0.547
O -0.786 -2.065 -1.120
O -2.825 -1.850 -0.054
H 1.885 -0.872 1.779
H 0.822 -1.673 0.517
H 2.349 -0.993 0.082
H 0.668 -0.219 -1.737
H 1.871 0.906 -1.467
*
```

What are the Mulliken partial charges on each atom? They are as follows, in elementary charge units: 0.24 0.27 0.46 0.81 -1.43 -0.51 0.54 -0.53 -0.63 -0.36 -0.27 -0.66 -0.69 0.37 0.23 0.36 0.29 0.51

No. 2
One molecule with the formula C2H5N at a distorted geometry, computed with wB97M-V/def2-TZVPD.

Properties
Total energy ... -133.75790 a.u.
HOMO level (alpha / beta) ... -5.18 / -10.75 eV
Lowest unoccupied orbital energy (alpha / beta) ... 0.046 / -0.081 Eh

The geometry in ORCA input format:
```
! RIJCOSX wB97M-V def2-TZVPD def2/J DEFGRID3
* xyz 0 3
C -0.222 0.511 -0.117
C 0.230 -0.971 0.084
N 0.480 1.559 -0.023
H -1.362 0.544 -0.325
H -0.242 -1.398 1.012
H 1.267 -0.967 0.161
H -0.244 -1.756 -0.572
H 0.093 2.477 -0.219
*
```

What are the Mulliken partial charges on each atom? They are as follows, in elementary charge units: -0.05 -0.87 -0.39 0.28 0.23 0.30 0.25 0.25

> Which of these has the lowest total energy?

C7H5N4O2

~~~~~

Molecular formula: C8H16F8LiN4O20S10
Method: DFT, wB97M-V/def2-TZVPD

Geometry as XYZ:
```
67
Properties=species:S:1:pos:R:3:forces:R:3
S 2.450 1.699 3.016 -0.903 8.590 -0.461
S 4.926 -1.430 -1.576 5.783 4.300 2.180
S 3.662 4.130 -1.046 4.665 3.602 -0.498
S 1.657 3.032 -1.372 -2.984 -2.646 -0.987
S -2.085 2.226 1.984 2.847 1.059 -8.040
S 2.567 -0.514 2.471 1.976 -10.409 -0.746
S -3.251 2.248 3.968 -1.469 1.237 2.617
S -2.169 0.452 -1.973 -0.439 0.417 0.297
S 2.785 -1.249 -2.295 -7.318 -3.277 -3.067
S -1.572 -1.829 1.207 0.886 1.294 0.302
F 1.304 1.956 -2.513 0.388 0.432 -0.510
F -2.801 2.782 5.451 -0.852 -0.455 -0.538
F 2.820 3.062 2.256 -0.509 -0.251 -0.801
F -1.506 3.522 1.097 -0.453 -1.253 -0.234
F 6.367 -0.684 -1.910 -0.635 -0.291 -0.557
F 2.167 -1.460 1.225 1.076 -0.390 -0.454
F 5.154 3.911 -0.569 0.900 -0.062 -0.131
F 2.128 -0.749 -3.762 -1.328 -0.154 1.232
O -0.976 0.592 -1.123 -2.341 0.108 -1.050
O -3.586 0.715 -1.538 3.536 -0.601 -1.240
O 3.788 4.889 -2.272 0.263 0.391 0.812
O -3.346 1.908 1.275 2.446 0.257 2.017
O 5.313 -2.774 -1.773 -0.532 -1.112 -0.334
O -3.097 0.793 4.072 -0.156 2.134 -0.112
O 1.141 4.302 -1.961 1.375 -3.063 1.701
O 3.658 1.771 3.848 -2.090 -2.385 -0.062
O 1.432 -1.032 3.280 1.780 2.577 0.358
O 2.599 -2.757 -2.460 0.462 4.251 1.063
== The calculated molecules stop here ==

Freelance Web Designers -You design Web sites for other people on a freelance basis.

Working for Adobe-You have to have major talent but it be an amazing job.

Wednesday, November 5, 2008


I knew that it be such a close call and I didnt know who would of one. I wasnt really even on anyones side. But Barack Obama won and that will be a change. I was glad to encounter history with the first black president! Life styles have certainly changed with racism. Finally people are getting over that!